To do >
Duplicate the part of the rows below that starts with the line with "-0.962430 1.992524" and stops after the one with "0.1971".

Listing >
........
Entry 1:
10
Properties=species:S:1:pos:R:3:forces:R:3:nbo_charge:R:1 method="wB97M-V/def2-TZVPD" lumo_ev=0.2 total_charge=0 smiles="C#CC(=O)SC" spin_multiplicity=1 e_tot_ev=-17093.3164 orbital_gap_ev=9.850
C -2.407758 0.127937 -0.049822 1.1 -0.6 0.2 -0.7206
C 0.424335 0.448257 0.002812 -1.0 -0.4 0.1 0.3559
C 1.768903 -0.074964 -0.027606 0.0 -0.1 0.2 -0.1437
C 2.906817 -0.442301 0.002129 0.0 -0.1 -0.4 -0.1124
H -2.305412 0.912203 -0.777623 -0.1 0.1 -0.5 0.2382
H -3.198565 -0.596772 -0.263428 0.2 0.3 0.0 0.2355
H -2.516224 0.584423 0.909491 -0.4 0.2 0.6 0.2266
H 3.898730 -0.797371 -0.117830 0.2 0.0 0.2 0.2380
O 0.195707 1.626202 0.026668 -0.2 0.2 -0.1 -0.5138
S -0.849873 -0.841605 0.029436 0.4 0.4 -0.3 0.1963

=====

Entry 2:
12
Properties=species:S:1:pos:R:3:forces:R:3:nbo_charge:R:1 method="wB97M-V/def2-TZVPD" lumo_ev=0.8 total_charge=0 smiles="C=C[C@@H]1CC1=O" spin_multiplicity=1 e_tot_ev=-7327.1150 orbital_gap_ev=9.871
O -2.378079 -1.364657 -1.108308 0.5 0.2 0.3 -0.4817
C -1.529131 -0.636741 -0.679786 -0.2 -0.2 -0.1 0.6159
C -1.212324 0.656315 -0.075266 -0.2 0.2 0.1 -0.5375
C 1.571067 0.250247 1.002665 -0.1 -0.1 -0.1 -0.3839
C 1.074090 -0.609280 0.118382 0.0 0.1 0.1 -0.1790
C -0.103442 -0.232176 -0.725558 0.1 0.0 -0.1 -0.3724
H -1.130455 0.621596 1.009026 -0.1 0.0 -0.1 0.2435
H -1.556072 1.616103 -0.452894 0.1 -0.2 -0.2 0.2373
H 1.085930 1.215906 1.129087 0.1 -0.1 0.1 0.1927
H 2.451117 0.053314 1.608258 -0.1 -0.1 -0.2 0.2075
H 1.554628 -1.568695 -0.068827 -0.1 0.1 0.0 0.2132
H 0.172672 -0.001932 -1.756779 -0.1 0.1 0.1 0.2443

=====

Entry 3:
21
Properties=species:S:1:pos:R:3:forces:R:3:nbo_charge:R:1 method="wB97M-V/def2-TZVPD" lumo_ev=1.0 total_charge=0 smiles=CCCCCCO spin_multiplicity=1 e_tot_ev=-8496.4812 orbital_gap_ev=11.246
C 2.795764 -1.491434 1.260759 0.0 0.0 0.0 -0.6018
C 1.845694 -1.183971 0.104200 0.0 0.0 -0.1 -0.3909
C 0.788146 -0.146285 0.475857 0.0 0.0 0.1 -0.3861
C -0.207561 0.177328 -0.640776 0.0 0.0 0.0 -0.3931
C -1.351477 1.042782 -0.119078 0.0 0.0 0.1 -0.4114
C -2.473533 1.335790 -1.104790 0.4 -0.1 -0.2 -0.0536
O -3.605470 1.719545 -0.338138 -0.2 0.2 0.0 -0.7265
H 3.527913 -2.259434 0.988191 -0.1 0.1 0.0 0.2087
H 2.241371 -1.853939 2.135413 0.1 0.1 -0.1 0.2012
H 3.348125 -0.595211 1.568160 -0.1 -0.1 -0.1 0.2009
H 2.419663 -0.832593 -0.764160 -0.1 0.0 0.1 0.1935
H 1.346683 -2.110822 -0.211198 0.0 0.1 0.0 0.1933
H 0.229252 -0.510141 1.350983 0.1 0.0 -0.1 0.1929
H 1.280914 0.782248 0.800170 0.0 -0.1 0.0 0.1936
H -0.620002 -0.759120 -1.044207 0.1 0.1 0.1 0.1939
H 0.313479 0.672901 -1.473228 -0.1 -0.1 0.1 0.1943
H -1.820166 0.529825 0.730321 0.1 0.0 -0.1 0.2083
H -0.962430 1.992524 0.272055 -0.1 -0.1 0.0 0.1981
H -2.180339 2.122990 -1.815138 -0.1 -0.1 0.2 0.1587
H -2.709816 0.440495 -1.702051 0.0 0.1 0.2 0.1552
H -4.055413 2.450202 -0.767249 0.0 0.0 0.0 0.4706

=====

Entry 4:
11
Properties=species:S:1:pos:R:3:forces:R:3:nbo_charge:R:1 method="wB97M-V/def2-TZVPD" lumo_ev="-1.2 / -1.2" total_charge=0 smiles="C=C(N)I.N=S" spin_multiplicity=1 e_tot_ev=-24067.9409 orbital_gap_ev="7.003 / 7.011"
C 0.489742 0.123814 1.013796 0.5 -1.2 0.4 0.0585
C 0.483826 0.852600 -0.085410 0.3 0.7 0.0 -0.5369
N 1.252374 0.424470 2.110787 -0.6 4.1 -2.6 -0.8496
N -1.404626 -1.295062 -2.707906 0.2 0.7 0.3 -0.7367
S -2.389687 -0.159702 -2.289427 0.2 -0.8 -0.3 0.3964
I -0.609193 -1.630414 1.164523 -0.1 -0.4 0.0 0.1183
H 0.103691 0.536479 -1.012647 -1.0 -0.4 -0.7 0.2251
H 0.973159 1.816270 -0.117723 0.4 0.0 0.2 0.1971
H 1.404738 1.434293 2.085427 0.4 -0.5 0.4 0.3776
H 1.529768 0.036159 2.926201 0.1 -2.3 2.5 0.4046
H -1.833793 -2.138907 -3.087622 -0.5 0.0 0.0 0.3457

=====

Repeat the first record exactly.
10
Properties=species:S:1:pos:R:3:forces:R:3:nbo_charge:R:1 method="wB97M-V/def2-TZVPD" lumo_ev=0.2 total_charge=0 smiles="C#CC(=O)SC" spin_multiplicity=1 e_tot_ev=-17093.3164 orbital_gap_ev=9.850
C -2.407758 0.127937 -0.049822 1.1 -0.6 0.2 -0.7206
C 0.424335 0.448257 0.002812 -1.0 -0.4 0.1 0.3559
........

Outcome >
H -0.962430 1.992524 0.272055 -0.1 -0.1 0.0 0.1981
H -2.180339 2.122990 -1.815138 -0.1 -0.1 0.2 0.1587
H -2.709816 0.440495 -1.702051 0.0 0.1 0.2 0.1552
H -4.055413 2.450202 -0.767249 0.0 0.0 0.0 0.4706

=====

Entry 4:
11
Properties=species:S:1:pos:R:3:forces:R:3:nbo_charge:R:1 method="wB97M-V/def2-TZVPD" lumo_ev="-1.2 / -1.2" total_charge=0 smiles="C=C(N)I.N=S" spin_multiplicity=1 e_tot_ev=-24067.9409 orbital_gap_ev="7.003 / 7.011"
C 0.489742 0.123814 1.013796 0.5 -1.2 0.4 0.0585
C 0.483826 0.852600 -0.085410 0.3 0.7 0.0 -0.5369
N 1.252374 0.424470 2.110787 -0.6 4.1 -2.6 -0.8496
N -1.404626 -1.295062 -2.707906 0.2 0.7 0.3 -0.7367
S -2.389687 -0.159702 -2.289427 0.2 -0.8 -0.3 0.3964
I -0.609193 -1.630414 1.164523 -0.1 -0.4 0.0 0.1183
H 0.103691 0.536479 -1.012647 -1.0 -0.4 -0.7 0.2251
H 0.973159 1.816270 -0.117723 0.4 0.0 0.2 0.1971